### Entries
~~~
1.
RbNbSe2O8 | GGA-PBE | optimized geometry

Output
Total magnetization: 0.000 μB per formula unit
Total DFT energy (no corrections): -72.62 eV for the cell shown
Formation energy from raw total energies: -14.95 eV/f.u.

The structure in CIF format:
```
data_RbNbSe2O8
_space_group_name_H-M_alt 'P 1'
_space_group_IT_number 1
_cell_length_a 5.602
_cell_length_b 5.602
_cell_length_c 8.457
_cell_angle_alpha 91.15
_cell_angle_beta 91.15
_cell_angle_gamma 59.92
loop_
_space_group_symop_operation_xyz
'x,y,z'
loop_
_atom_site_label
_atom_site_type_symbol
_atom_site_fract_x
_atom_site_fract_y
_atom_site_fract_z
_atom_site_occupancy
Rb1 Rb 0.000 0.000 0.000 1
Nb1 Nb 0.000 0.000 0.500 1
Se1 Se 0.357 0.357 0.302 1
Se2 Se 0.643 0.643 0.698 1
O1 O 0.191 0.191 0.458 1
O2 O 0.232 0.714 0.326 1
O3 O 0.286 0.768 0.674 1
O4 O 0.313 0.313 0.112 1
O5 O 0.687 0.687 0.888 1
O6 O 0.714 0.232 0.326 1
O7 O 0.768 0.286 0.674 1
O8 O 0.809 0.809 0.542 1
```

***

2.
Ta2CrAg | GGA-PBE | optimized geometry

Output
ΔE to the lowest computed polymorph: 0.59 eV/f.u.
Total magnetization: 0.830 μB per formula unit
Formation enthalpy at 0 K: 0.357 eV per atom
Total DFT energy (no corrections): -34.75 eV for the cell shown

The structure in CIF format:
```
data_Ta2CrAg
_space_group_name_H-M_alt 'P 1'
_space_group_IT_number 1
_cell_length_a 5.059
_cell_length_b 5.059
_cell_length_c 5.059
_cell_angle_alpha 139.15
_cell_angle_beta 127.51
_cell_angle_gamma 68.57
loop_
_space_group_symop_operation_xyz
'x,y,z'
loop_
_atom_site_label
_atom_site_type_symbol
_atom_site_fract_x
_atom_site_fract_y
_atom_site_fract_z
_atom_site_occupancy
Ta1 Ta 0.232 0.232 0.000 1
Ta2 Ta 0.768 0.768 0.000 1
Cr1 Cr 0.000 0.500 0.500 1
Ag1 Ag 0.500 0.000 0.500 1
```

***

3.
AcNdSiIr | GGA-PBE | optimized geometry

Output
Total magnetization: 0.000 μB per formula unit
Total DFT energy (no corrections): -24.60 eV for the cell shown
Formation energy from raw total energies: -1.44 eV/f.u.

The structure in CIF format:
```
data_AcNdSiIr
_space_group_name_H-M_alt 'P 1'
_space_group_IT_number 1
_cell_length_a 5.235
_cell_length_b 5.235
_cell_length_c 5.235
_cell_angle_alpha 60.00
_cell_angle_beta 60.00
_cell_angle_gamma 60.00
loop_
_space_group_symop_operation_xyz
'x,y,z'
loop_
_atom_site_label
_atom_site_type_symbol
_atom_site_fract_x
_atom_site_fract_y
_atom_site_fract_z
_atom_site_occupancy
Ac1 Ac 0.000 0.000 0.000 1
Nd1 Nd 0.500 0.500 0.500 1
Si1 Si 0.750 0.750 0.750 1
Ir1 Ir 0.250 0.250 0.250 1
```

***

4.
Nd2MgAl | GGA-PBE | optimized geometry

Output
ΔE to the lowest computed polymorph: 0.92 eV/f.u.
Total magnetization: 0.000 μB per formula unit
Formation enthalpy at 0 K: -0.027 eV per atom
Total DFT energy (no corrections): -14.98 eV for the cell shown

The structure in CIF format:
```
data_Nd2MgAl
_space_group_name_H-M_alt 'P 1'
_space_group_IT_number 1
_cell_length_a 10.375
_cell_length_b 10.375
_cell_length_c 10.375
_cell_angle_alpha 20.47
_cell_angle_beta 20.47
_cell_angle_gamma 20.47
loop_
_space_group_symop_operation_xyz
'x,y,z'
loop_
_atom_site_label
_atom_site_type_symbol
_atom_site_fract_x
_atom_site_fract_y
_atom_site_fract_z
_atom_site_occupancy
Nd1 Nd 0.242 0.242 0.242 1
Nd2 Nd 0.758 0.758 0.758 1
Mg1 Mg 0.000 0.000 0.000 1
Al1 Al 0.500 0.500 0.500 1
```

***

5.
Pr2YAl | GGA-PBE | optimized geometry

Output
ΔE to the lowest computed polymorph: 0.00 eV/f.u.
Total magnetization: 0.000 μB per formula unit
Formation enthalpy at 0 K: -0.173 eV per atom
Total DFT energy (no corrections): -40.91 eV for the cell shown

The structure in CIF format:
```
data_Pr2YAl
_space_group_name_H-M_alt 'P 1'
_space_group_IT_number 1
_cell_length_a 5.387
_cell_length_b 7.093
_cell_length_c 7.093
_cell_angle_alpha 59.88
_cell_angle_beta 90.00
_cell_angle_gamma 90.00
loop_
_space_group_symop_operation_xyz
'x,y,z'
loop_
_atom_site_label
_atom_site_type_symbol
_atom_site_fract_x
_atom_site_fract_y
_atom_site_fract_z
_atom_site_occupancy
Pr1 Pr 0.000 0.000 0.000 1
Pr2 Pr 0.000 0.465 0.999 1
~~~

### Work order
What is needed: repeat the block further above from the first line to the one with "0.92 eV/f.u." exactly.

### Here it is
1.
RbNbSe2O8 | GGA-PBE | optimized geometry

Output
Total magnetization: 0.000 μB per formula unit
Total DFT energy (no corrections): -72.62 eV for the cell shown
Formation energy from raw total energies: -14.95 eV/f.u.

The structure in CIF format:
```
data_RbNbSe2O8
_space_group_name_H-M_alt 'P 1'
_space_group_IT_number 1
_cell_length_a 5.602
_cell_length_b 5.602
_cell_length_c 8.457
_cell_angle_alpha 91.15
_cell_angle_beta 91.15
_cell_angle_gamma 59.92
loop_
_space_group_symop_operation_xyz
'x,y,z'
loop_
_atom_site_label
_atom_site_type_symbol
_atom_site_fract_x
_atom_site_fract_y
_atom_site_fract_z
_atom_site_occupancy
Rb1 Rb 0.000 0.000 0.000 1
Nb1 Nb 0.000 0.000 0.500 1
Se1 Se 0.357 0.357 0.302 1
Se2 Se 0.643 0.643 0.698 1
O1 O 0.191 0.191 0.458 1
O2 O 0.232 0.714 0.326 1
O3 O 0.286 0.768 0.674 1
O4 O 0.313 0.313 0.112 1
O5 O 0.687 0.687 0.888 1
O6 O 0.714 0.232 0.326 1
O7 O 0.768 0.286 0.674 1
O8 O 0.809 0.809 0.542 1
```

***

2.
Ta2CrAg | GGA-PBE | optimized geometry

Output
ΔE to the lowest computed polymorph: 0.59 eV/f.u.
Total magnetization: 0.830 μB per formula unit
Formation enthalpy at 0 K: 0.357 eV per atom
Total DFT energy (no corrections): -34.75 eV for the cell shown

The structure in CIF format:
```
data_Ta2CrAg
_space_group_name_H-M_alt 'P 1'
_space_group_IT_number 1
_cell_length_a 5.059
_cell_length_b 5.059
_cell_length_c 5.059
_cell_angle_alpha 139.15
_cell_angle_beta 127.51
_cell_angle_gamma 68.57
loop_
_space_group_symop_operation_xyz
'x,y,z'
loop_
_atom_site_label
_atom_site_type_symbol
_atom_site_fract_x
_atom_site_fract_y
_atom_site_fract_z
_atom_site_occupancy
Ta1 Ta 0.232 0.232 0.000 1
Ta2 Ta 0.768 0.768 0.000 1
Cr1 Cr 0.000 0.500 0.500 1
Ag1 Ag 0.500 0.000 0.500 1
```

***

3.
AcNdSiIr | GGA-PBE | optimized geometry

Output
Total magnetization: 0.000 μB per formula unit
Total DFT energy (no corrections): -24.60 eV for the cell shown
Formation energy from raw total energies: -1.44 eV/f.u.

The structure in CIF format:
```
data_AcNdSiIr
_space_group_name_H-M_alt 'P 1'
_space_group_IT_number 1
_cell_length_a 5.235
_cell_length_b 5.235
_cell_length_c 5.235
_cell_angle_alpha 60.00
_cell_angle_beta 60.00
_cell_angle_gamma 60.00
loop_
_space_group_symop_operation_xyz
'x,y,z'
loop_
_atom_site_label
_atom_site_type_symbol
_atom_site_fract_x
_atom_site_fract_y
_atom_site_fract_z
_atom_site_occupancy
Ac1 Ac 0.000 0.000 0.000 1
Nd1 Nd 0.500 0.500 0.500 1
Si1 Si 0.750 0.750 0.750 1
Ir1 Ir 0.250 0.250 0.250 1
```

***

4.
Nd2MgAl | GGA-PBE | optimized geometry

Output
ΔE to the lowest computed polymorph: 0.92 eV/f.u.